# Work order
Your job: restate the lines further down from the line with "-0.127 1.676" to the end unchanged.

# File
- - -
# 1
This record from the Open Molecules 2025 dataset describes a molecular structure, C37H54HgN3P at a distorted geometry. The level of theory is ωB97M-V/def2-TZVPD.

Geometry as XYZ:
```
96
Properties=species:S:1:pos:R:3:forces:R:3
Hg -0.079 0.357 0.286 1.7 -0.5 -0.9
N -0.636 0.199 3.211 0.4 -0.4 1.9
N -2.985 0.824 0.961 -0.8 1.9 -1.9
C -1.155 -2.967 -1.341 0.2 -0.4 1.1
C -2.122 -3.264 -0.340 1.3 0.1 0.1
C -1.436 -3.427 0.889 0.5 0.3 -0.9
C -2.045 -3.673 2.216 0.0 -0.1 0.4
H -3.120 -3.869 2.118 0.1 0.1 0.2
H -1.902 -2.813 2.890 -0.1 -0.2 0.0
H -1.580 -4.548 2.695 -0.2 0.0 0.2
C -0.050 -3.239 0.653 -1.0 0.1 -0.8
C 1.004 -3.277 1.686 0.4 -0.1 0.3
H 1.393 -4.299 1.842 0.1 0.1 0.1
H 0.620 -2.919 2.653 0.1 0.0 -0.1
H 1.856 -2.640 1.406 -0.1 -0.1 0.1
C 0.129 -2.988 -0.733 -1.2 0.1 0.7
C 1.420 -2.769 -1.419 0.4 0.0 -0.2
H 2.046 -2.047 -0.874 0.0 0.0 -0.2
H 1.256 -2.379 -2.430 0.1 0.0 0.1
H 1.993 -3.706 -1.506 0.1 0.1 -0.1
C -3.588 -3.327 -0.509 -0.4 0.0 0.0
H -4.005 -4.149 0.088 -0.2 0.1 -0.1
H -3.858 -3.500 -1.557 -0.1 0.0 0.1
H -4.084 -2.402 -0.177 -0.1 -0.1 0.0
C -1.414 -2.632 -2.759 0.1 0.1 -0.4
H -1.180 -1.575 -2.966 -0.1 -0.1 -0.2
H -2.464 -2.794 -3.026 0.1 0.0 -0.1
H -0.789 -3.243 -3.429 -0.1 0.1 -0.1
C 0.103 0.520 4.278 -0.4 0.9 0.2
H 0.917 -0.169 4.513 0.0 0.3 0.0
C -0.127 1.676 5.045 0.5 -0.7 -0.1
H 0.534 1.897 5.875 0.0 0.1 0.0
C -1.203 2.515 4.719 -0.7 0.0 -0.7
H -1.389 3.443 5.264 0.1 -0.2 0.0
C -2.085 2.104 3.725 1.2 -0.4 0.2
H -3.004 2.618 3.451 0.2 0.0 0.2
C -1.807 0.860 3.068 -0.6 0.4 -1.0
C -2.723 0.226 2.186 -0.3 -0.8 1.6
H -2.747 -0.862 2.192 0.6 0.2 -0.5
C -2.137 0.809 -0.134 -4.1 -1.5 0.1
C -4.188 1.477 0.647 1.0 -0.5 0.3
H -4.917 1.684 1.409 -0.1 -0.1 0.0
C -4.142 1.749 -0.656 -0.2 0.2 -0.8
H -4.879 2.210 -1.287 0.0 0.1 -0.1
N -2.919 1.271 -1.156 -0.7 0.9 0.3
C -2.753 1.059 -2.563 -0.2 0.0 -0.1
C -3.687 0.240 -3.228 0.7 0.1 -0.2
C -3.522 0.019 -4.600 0.1 0.5 0.3
H -4.243 -0.621 -5.113 0.2 0.1 0.1
C -2.479 0.613 -5.310 0.0 0.0 0.4
C -2.322 0.364 -6.780 0.1 -0.1 -0.3
H -1.445 -0.266 -6.982 -0.2 0.1 0.0
H -2.185 1.302 -7.334 0.0 -0.2 0.1
H -3.206 -0.149 -7.177 0.2 0.1 0.0
C -1.587 1.448 -4.630 -0.4 -0.1 0.2
H -0.774 1.932 -5.176 -0.2 -0.1 0.1
C -1.744 1.722 -3.265 -0.1 -0.1 -0.4
C -0.891 2.762 -2.609 0.4 0.2 0.1
H -1.454 3.689 -2.413 0.0 -0.3 0.0
H -0.065 3.021 -3.282 -0.1 0.0 0.2
H -0.465 2.418 -1.654 -0.1 0.0 -0.2
C -4.826 -0.415 -2.520 -0.5 -0.5 0.1
H -5.600 0.306 -2.223 0.2 -0.2 0.0
H -4.523 -0.984 -1.629 0.0 0.3 -0.2
H -5.298 -1.123 -3.209 0.0 0.0 0.1
C 3.431 -0.827 3.383 -0.1 0.1 0.1
C 3.452 0.601 2.819 0.6 0.6 -0.2
C 4.860 1.192 2.972 0.1 0.1 0.7
P 2.675 0.681 1.114 0.6 -1.1 0.7
C 2.267 2.500 0.820 0.3 -0.5 0.5
C 2.939 3.546 1.707 0.0 0.3 -0.2
C 2.309 2.859 -0.675 -0.1 0.3 0.0
C 4.075 0.223 -0.052 -0.4 0.7 0.3
C 5.172 1.273 -0.241 0.4 -0.1 -0.4
C 4.694 -1.147 0.259 0.0 -0.1 -0.2
H 4.094 -1.503 2.825 -0.3 0.2 0.1
H 2.420 -1.253 3.390 0.3 0.1 -0.2
H 3.792 -0.801 4.423 0.0 0.0 -0.1
H 2.757 1.207 3.427 0.2 -0.2 -0.1
H 5.639 0.533 2.567 -0.3 0.1 0.0
H 4.970 2.192 2.538 0.0 -0.3 0.0
H 5.064 1.294 4.050 0.2 0.0 0.0
H 1.202 2.497 1.124 0.2 -0.1 -0.2
H 3.991 3.715 1.441 -0.2 0.0 0.1
H 2.413 4.500 1.553 0.1 0.0 0.1
H 2.863 3.308 2.777 0.1 0.0 -0.3
H 2.165 1.989 -1.336 -0.1 0.3 0.3
H 1.499 3.572 -0.888 0.1 -0.1 0.0
H 3.250 3.354 -0.954 -0.1 -0.1 0.1
H 3.527 0.128 -1.006 0.1 0.0 0.2
H 5.922 1.234 0.559 -0.2 0.0 -0.1
H 5.699 1.040 -1.177 0.2 0.1 0.0
H 4.801 2.298 -0.327 0.1 -0.3 0.1
H 3.945 -1.924 0.464 0.1 0.3 0.0
H 5.268 -1.475 -0.621 -0.1 0.0 0.1
H 5.404 -1.106 1.097 -0.2 0.1 -0.1
```
Forces are in eV/Å.

The calculation puts the HOMO energy at 1.405 eV. As for the total charge: -2. As for the HOMO-LUMO gap: 2.921 eV.

# 2
This record from the Open Molecules 2025 dataset describes a molecular structure, C37H54IrNO2 at a distorted geometry. The level of theory is ωB97M-V/def2-TZVPD.

Geometry as XYZ:
```
95
Properties=species:S:1:pos:R:3:forces:R:3
Ir -0.447 0.424 0.261 2.0 0.1 -2.1
C 0.196 -2.432 -0.164 0.5 0.3 0.4
- - -

# Done
C -0.127 1.676 5.045 0.5 -0.7 -0.1
H 0.534 1.897 5.875 0.0 0.1 0.0
C -1.203 2.515 4.719 -0.7 0.0 -0.7
H -1.389 3.443 5.264 0.1 -0.2 0.0
C -2.085 2.104 3.725 1.2 -0.4 0.2
H -3.004 2.618 3.451 0.2 0.0 0.2
C -1.807 0.860 3.068 -0.6 0.4 -1.0
C -2.723 0.226 2.186 -0.3 -0.8 1.6
H -2.747 -0.862 2.192 0.6 0.2 -0.5
C -2.137 0.809 -0.134 -4.1 -1.5 0.1
C -4.188 1.477 0.647 1.0 -0.5 0.3
H -4.917 1.684 1.409 -0.1 -0.1 0.0
C -4.142 1.749 -0.656 -0.2 0.2 -0.8
H -4.879 2.210 -1.287 0.0 0.1 -0.1
N -2.919 1.271 -1.156 -0.7 0.9 0.3
C -2.753 1.059 -2.563 -0.2 0.0 -0.1
C -3.687 0.240 -3.228 0.7 0.1 -0.2
C -3.522 0.019 -4.600 0.1 0.5 0.3
H -4.243 -0.621 -5.113 0.2 0.1 0.1
C -2.479 0.613 -5.310 0.0 0.0 0.4
C -2.322 0.364 -6.780 0.1 -0.1 -0.3
H -1.445 -0.266 -6.982 -0.2 0.1 0.0
H -2.185 1.302 -7.334 0.0 -0.2 0.1
H -3.206 -0.149 -7.177 0.2 0.1 0.0
C -1.587 1.448 -4.630 -0.4 -0.1 0.2
H -0.774 1.932 -5.176 -0.2 -0.1 0.1
C -1.744 1.722 -3.265 -0.1 -0.1 -0.4
C -0.891 2.762 -2.609 0.4 0.2 0.1
H -1.454 3.689 -2.413 0.0 -0.3 0.0
H -0.065 3.021 -3.282 -0.1 0.0 0.2
H -0.465 2.418 -1.654 -0.1 0.0 -0.2
C -4.826 -0.415 -2.520 -0.5 -0.5 0.1
H -5.600 0.306 -2.223 0.2 -0.2 0.0
H -4.523 -0.984 -1.629 0.0 0.3 -0.2
H -5.298 -1.123 -3.209 0.0 0.0 0.1
C 3.431 -0.827 3.383 -0.1 0.1 0.1
C 3.452 0.601 2.819 0.6 0.6 -0.2
C 4.860 1.192 2.972 0.1 0.1 0.7
P 2.675 0.681 1.114 0.6 -1.1 0.7
C 2.267 2.500 0.820 0.3 -0.5 0.5
C 2.939 3.546 1.707 0.0 0.3 -0.2
C 2.309 2.859 -0.675 -0.1 0.3 0.0
C 4.075 0.223 -0.052 -0.4 0.7 0.3
C 5.172 1.273 -0.241 0.4 -0.1 -0.4
C 4.694 -1.147 0.259 0.0 -0.1 -0.2
H 4.094 -1.503 2.825 -0.3 0.2 0.1
H 2.420 -1.253 3.390 0.3 0.1 -0.2
H 3.792 -0.801 4.423 0.0 0.0 -0.1
H 2.757 1.207 3.427 0.2 -0.2 -0.1
H 5.639 0.533 2.567 -0.3 0.1 0.0
H 4.970 2.192 2.538 0.0 -0.3 0.0
H 5.064 1.294 4.050 0.2 0.0 0.0
H 1.202 2.497 1.124 0.2 -0.1 -0.2
H 3.991 3.715 1.441 -0.2 0.0 0.1
H 2.413 4.500 1.553 0.1 0.0 0.1
H 2.863 3.308 2.777 0.1 0.0 -0.3
H 2.165 1.989 -1.336 -0.1 0.3 0.3
H 1.499 3.572 -0.888 0.1 -0.1 0.0
H 3.250 3.354 -0.954 -0.1 -0.1 0.1
H 3.527 0.128 -1.006 0.1 0.0 0.2
H 5.922 1.234 0.559 -0.2 0.0 -0.1
H 5.699 1.040 -1.177 0.2 0.1 0.0
H 4.801 2.298 -0.327 0.1 -0.3 0.1
H 3.945 -1.924 0.464 0.1 0.3 0.0
H 5.268 -1.475 -0.621 -0.1 0.0 0.1
H 5.404 -1.106 1.097 -0.2 0.1 -0.1
```
Forces are in eV/Å.

The calculation puts the HOMO energy at 1.405 eV. As for the total charge: -2. As for the HOMO-LUMO gap: 2.921 eV.

# 2
This record from the Open Molecules 2025 dataset describes a molecular structure, C37H54IrNO2 at a distorted geometry. The level of theory is ωB97M-V/def2-TZVPD.

Geometry as XYZ:
```
95
Properties=species:S:1:pos:R:3:forces:R:3
Ir -0.447 0.424 0.261 2.0 0.1 -2.1
C 0.196 -2.432 -0.164 0.5 0.3 0.4